Even though, you have an abundance of choice when it comes to your email marketing software, many of us have stuck with the industry leaders: Mailchimp, Campaign Monitor, Klaviyo, Aweber and MailerLite to only name a few.
To be fair, they have changed how and who uses email marketing making it accessible to the mass. It has come with a massive price tag though. If you look at Campaign Monitor for example, a list of around 50,000 subscribers and a maximum sender volume of 200,000 a month will cost you around £280. Scale this up even further and some companies are paying thousands of pounds for the pleasure of sending out an email.
As you might have guessed from the title, there is one company in the world that truly knows how to disrupt a market: Amazon.
A few years back, Amazon has created an email marketing software that they simply call SES – simple email service. And the name says it all: it is simple BUT also incredibly cheap and cost effective.
Let’s look at the numbers as it will show you the huge difference in pricing. We assume that we work with a list of 5,000 subscribers who are happy for us to send them emails.
Mailchimp will charge us £52.99 (essential package – email only) and stipulates that we can send a maximum of 50,000 emails in total throughout a given month.
Unrelated to this article: data records:
- - -
Computed powder diffractogram of Mo2Se3S for Cu Kα (λ = 1.5418 Å), from a GGA-PBE-relaxed structure.

Atomic structure:
Cell: 3.2898 3.2898 37.2956 Å, 90.00 90.00 120.00°
Sites, in units of the cell vectors:
Mo  0.0000  0.0000  0.0000
Mo  0.0000  0.0000  0.3757
Mo  0.3333  0.6667  0.1879
Mo  0.3333  0.6667  0.5636
Se  0.0000  0.0000  0.1427
Se  0.0000  0.0000  0.2331
Se  0.0000  0.0000  0.5184
Se  0.0000  0.0000  0.6088
Se  0.3333  0.6667  0.3306
Se  0.3333  0.6667  0.4209
S  0.3333  0.6667  0.0411
S  0.3333  0.6667  0.9589

Peak list (8 most intense, 2θ from 5° to 70°, by angle)
2θ (°)  Rel. int.  h k l
7.1  24.3  0 0 3
11.9  100.0  0 0 5
14.2  14.6  0 0 6
31.4  43.2  1 0 0
37.0  76.8  1 0 8
44.8  52.3  0 1 13
46.7  18.2  1 0 14
55.9  31.0  1 1 0

* * * * *

Record 1
Simulated PXRD pattern
Compound: CrBiO3
Radiation: Cu Kα
Structure: DFT lattice parameters and positions (GGA+U)
Lines closer than 0.1° are merged.

Cell and atoms:
Unit cell a=5.6766 b=7.8408 c=5.4676 alpha=90.00 beta=90.00 gamma=90.00
Positions (direct):
Cr: 0.0000 0.0000 0.0000
Cr: 0.0000 0.5000 0.0000
Cr: 0.5000 0.0000 0.5000
Cr: 0.5000 0.5000 0.5000
Bi: 0.0524 0.2500 0.4907
Bi: 0.4476 0.7500 0.9907
Bi: 0.5524 0.2500 0.0093
Bi: 0.9476 0.7500 0.5093
O: 0.0275 0.7500 0.0930
O: 0.2010 0.5453 0.6975
O: 0.2010 0.9547 0.6975
O: 0.2990 0.0453 0.1975
O: 0.2990 0.4547 0.1975
O: 0.4725 0.2500 0.5930
O: 0.5275 0.7500 0.4070
O: 0.7010 0.5453 0.8025
O: 0.7010 0.9547 0.8025
O: 0.7990 0.0453 0.3025
O: 0.7990 0.4547 0.3025
O: 0.9725 0.2500 0.9070

Principal peaks in the range 2θ from 15° to 90°, sorted by position:
2θ/deg	I_rel
22.6	35.7
22.7	20.6
25.3	14.7
31.5	20.7
32.2	100.0
32.8	25.3
40.2	16.6
46.1	19.9
52.5	15.5
58.1	22.2

Record 2
Simulated PXRD pattern
Compound: CrBiO5
Radiation: Cu Kα
Structure: DFT lattice parameters and positions (GGA+U)
Lines closer than 0.1° are merged.

Cell and atoms:
Unit cell a=7.3429 b=11.2745 c=9.9008 alpha=90.00 beta=90.00 gamma=90.00
Positions (direct):
Cr: 0.1588 0.1415 0.0888
Cr: 0.1588 0.3585 0.5888
Cr: 0.3412 0.6415 0.0888
Cr: 0.3412 0.8585 0.5888
Cr: 0.6588 0.1415 0.4112
Cr: 0.6588 0.3585 0.9112
Cr: 0.8412 0.6415 0.4112
Cr: 0.8412 0.8585 0.9112
Bi: 0.0084 0.5899 0.8249
Bi: 0.0084 0.9101 0.3249
Bi: 0.4916 0.0899 0.8249
Bi: 0.4916 0.4101 0.3249
Bi: 0.5084 0.5899 0.6751
Bi: 0.5084 0.9101 0.1751
Bi: 0.9916 0.0899 0.6751
Bi: 0.9916 0.4101 0.1751
O: 0.0385 0.0779 0.4476
O: 0.0385 0.4221 0.9476
O: 0.0575 0.6613 0.3948
O: 0.0575 0.8387 0.8948
O: 0.2033 0.1208 0.9224
O: 0.2033 0.3792 0.4224
O: 0.2191 0.0194 0.1850
O: 0.2191 0.4806 0.6850
O: 0.2436 0.7360 0.6466
O: 0.2436 0.7640 0.1466
O: 0.2564 0.2360 0.6466
O: 0.2564 0.2640 0.1466
O: 0.2809 0.5194 0.1850
O: 0.2809 0.9806 0.6850
O: 0.2967 0.6208 0.9224
O: 0.2967 0.8792 0.4224
O: 0.4425 0.1613 0.3948
O: 0.4425 0.3387 0.8948
O: 0.4615 0.5779 0.4476
O: 0.4615 0.9221 0.9476
O: 0.5385 0.0779 0.0524
O: 0.5385 0.4221 0.5524
O: 0.5575 0.6613 0.1052
O: 0.5575 0.8387 0.6052
O: 0.7033 0.1208 0.5776
O: 0.7033 0.3792 0.0776
- - -
Campaign Monitor is slightly cheaper with £49 a month but we can only send a maximum of 25,000 emails during the given month. We could upgrade to unlimited emails but that would increase our costs to £89 a month.
Now, Amazon SES charges us $0.10 for every 1,000 emails you send. This means in our example, our total cost for sending 5,000 emails is $0.50. If we say, we want to send a maximum of 50,000 emails to match Mailchimp's price cluster, SES would charge us $5.
## Between two parts of the piece: calculated crystals
********
No. 1
Starting from a DFT-relaxed cell (GGA-PBE, OQMD), the powder diffraction line list of Nd5Os2Cl3O10 was computed for CuKα.
Neutral-atom scattering factors, no anomalous dispersion.

Structure:
a = 6.943 Å, b = 6.943 Å, c = 9.123 Å
α = 103.51°, β = 103.51°, γ = 48.34°
Element x y z (fractional)
Nd (0.000, 0.000, 0.000)
Nd (0.314, 0.314, 0.122)
Nd (0.352, 0.352, 0.734)
Nd (0.648, 0.648, 0.266)
Nd (0.686, 0.686, 0.878)
Os (0.019, 0.019, 0.635)
Os (0.981, 0.981, 0.365)
Cl (0.199, 0.199, 0.398)
Cl (0.500, 0.500, 0.500)
Cl (0.801, 0.801, 0.602)
O (0.095, 0.587, 0.932)
O (0.167, 0.167, 0.699)
O (0.237, 0.745, 0.226)
O (0.255, 0.763, 0.774)
O (0.413, 0.905, 0.068)
O (0.587, 0.095, 0.932)
O (0.745, 0.237, 0.226)
O (0.763, 0.255, 0.774)
O (0.833, 0.833, 0.301)
O (0.905, 0.413, 0.068)

Top 6 peaks for 2θ = 10–80°, by intensity:
- 3.316 Å, I 100
- 2.681 Å, I 70
- 2.843 Å, I 49
- 3.545 Å, I 39
- 2.025 Å, I 34
- 2.885 Å, I 27


No. 2
Starting from a DFT-relaxed cell (GGA-PBE, OQMD), the powder diffraction line list of Nd4PClO8 was computed for CuKα.
Neutral-atom scattering factors, no anomalous dispersion.

Structure:
a = 12.950 Å, b = 5.831 Å, c = 5.773 Å
α = 90.00°, β = 90.00°, γ = 90.00°
Element x y z (fractional)
Nd (0.161, 0.019, 0.000)
Nd (0.168, 0.488, 0.531)
Nd (0.332, 0.512, 0.031)
Nd (0.339, 0.981, 0.500)
Nd (0.661, 0.981, 0.500)
Nd (0.668, 0.512, 0.031)
Nd (0.832, 0.488, 0.531)
Nd (0.839, 0.019, 0.000)
P (0.000, 0.542, 0.058)
P (0.500, 0.458, 0.558)
Cl (0.000, 0.050, 0.564)
Cl (0.500, 0.950, 0.064)
O (0.000, 0.501, 0.324)
O (0.000, 0.805, 0.017)
O (0.096, 0.433, 0.946)
O (0.230, 0.757, 0.262)
O (0.250, 0.242, 0.269)
O (0.250, 0.758, 0.769)
O (0.270, 0.243, 0.762)
O (0.404, 0.567, 0.446)
O (0.500, 0.195, 0.517)
O (0.500, 0.499, 0.824)
O (0.596, 0.567, 0.446)
O (0.730, 0.243, 0.762)
O (0.750, 0.242, 0.269)
O (0.750, 0.758, 0.769)
O (0.770, 0.757, 0.262)
O (0.904, 0.433, 0.946)

Top 6 peaks for 2θ = 10–80°, by intensity:
- 2.974 Å, I 100
- 3.911 Å, I 25
- 6.475 Å, I 22
- 2.915 Å, I 21
- 2.886 Å, I 21
- 2.051 Å, I 20


No. 3
Starting from a DFT-relaxed cell (GGA-PBE, OQMD), the powder diffraction line list of Nd5Pb2Cl3O10 was computed for CuKα.
Neutral-atom scattering factors, no anomalous dispersion.

Structure:
a = 6.881 Å, b = 6.881 Å, c = 10.148 Å
α = 90.62°, β = 90.62°, γ = 49.97°
Element x y z (fractional)
Nd (0.000, 0.000, 0.000)
Nd (0.298, 0.298, 0.094)
Nd (0.410, 0.410, 0.762)
Nd (0.590, 0.590, 0.238)
Nd (0.702, 0.702, 0.906)
Pb (0.097, 0.097, 0.666)
Pb (0.903, 0.903, 0.334)
Cl (0.112, 0.112, 0.387)
Cl (0.500, 0.500, 0.500)
Cl (0.888, 0.888, 0.613)
O (0.104, 0.599, 0.926)
O (0.190, 0.684, 0.191)
O (0.256, 0.256, 0.647)
O (0.316, 0.810, 0.809)
O (0.401, 0.896, 0.074)
O (0.599, 0.104, 0.926)
O (0.684, 0.190, 0.191)
O (0.744, 0.744, 0.353)
O (0.810, 0.316, 0.809)
O (0.896, 0.401, 0.074)

Top 6 peaks for 2θ = 10–80°, by intensity:
- 3.199 Å, I 100
- 2.853 Å, I 68
- 2.906 Å, I 41
- 3.664 Å, I 39
- 1.967 Å, I 27
- 4.684 Å, I 22


No. 4
********
## The calculated crystals stop here
I’ve been using Amazon SES for over 3 years. BUT and this is a big BUT, I couldn’t have implemented it into our CRM software without the help of our very knowledge developer. At the moment, the set-up and integration are not as streamlined as with the better-known email marketing providers.
Within Amazon SES, there is also not a template builder which might be the second reason why the majority of businesses have shied away from it. We’re solved this problem by using BeePro which is a fantastic email design tool. It’s very user-friendly and let’s you export the html mailer in various forms so that it’s easily integrated into your CRM. Or, some of the CRMs such as Mailchimp have an integration in place which automatically takes on templates designed in BeePro.
'''
No. 1
MnNi2H: computed XRD peak list (copper Kα), based on DFT lattice parameters and positions (PBE).
No peak broadening, texture or thermal motion is included.

Largest 10 diffraction maxima, sorted by position, 5° ≤ 2θ ≤ 70°:
14.7°, rel. 5.8
29.7°, rel. 9.3
37.2°, rel. 21.8
40.2°, rel. 56.2
45.3°, rel. 27.8
48.3°, rel. 100.0
53.6°, rel. 46.4
60.0°, rel. 4.2
61.8°, rel. 4.5
62.5°, rel. 4.4

Crystal structure
```
4
Lattice="2.4193 0.0000 0.0000 0.0000 2.4193 0.0000 0.0000 0.0000 6.0079" Properties=species:S:1:pos:R:3 pbc="T T T"
Mn 0.0000 0.0000 0.0000
Ni 1.2097 1.2097 1.7883
Ni 1.2097 1.2097 4.2196
H 0.0000 0.0000 3.0040
```


No. 2
Li17Cu12: computed XRD peak list (copper Kα), based on DFT lattice parameters and positions (PBE).
No peak broadening, texture or thermal motion is included.

Largest 10 diffraction maxima, sorted by position, 5° ≤ 2θ ≤ 70°:
13.3°, rel. 22.1
23.2°, rel. 100.0
26.8°, rel. 9.3
33.0°, rel. 8.4
35.7°, rel. 8.1
40.7°, rel. 35.2
45.2°, rel. 51.4
49.4°, rel. 29.8
53.3°, rel. 8.7
58.9°, rel. 12.8

Crystal structure
```
29
Lattice="-4.7032 4.7032 4.7032 4.7032 -4.7032 4.7032 4.7032 4.7032 -4.7032" Properties=species:S:1:pos:R:3 pbc="T T T"
Li 0.0000 0.0000 0.0000
Li 3.0521 3.0521 -3.0521
Li 5.1882 1.2880 -1.2880
Li 3.0521 -3.0521 3.0521
Li 5.1882 -1.2880 1.2880
Li 4.2183 1.2880 1.2880
Li 3.4153 3.4153 -0.4849
Li 3.4153 -0.4849 3.4153
Li 1.6511 1.6511 1.6511
Li 1.2880 5.1882 -1.2880
Li 1.2880 -1.2880 5.1882
Li 1.2880 4.2183 1.2880
Li 1.2880 1.2880 4.2183
Li -3.0521 3.0521 3.0521
Li -1.2880 5.1882 1.2880
Li -1.2880 1.2880 5.1882
Li -0.4849 3.4153 3.4153
Cu 2.6051 0.8653 -0.8653
Cu 2.6051 -0.8653 0.8653
Cu 6.8014 0.8653 0.8653
Cu 0.8653 2.6051 -0.8653
Cu 0.8653 -0.8653 2.6051
Cu -0.8653 2.6051 0.8653
Cu -0.8653 0.8653 2.6051
Cu 3.8380 3.8380 2.0981
Cu 3.8380 2.0981 3.8380
Cu 0.8653 6.8014 0.8653
Cu 0.8653 0.8653 6.8014
Cu 2.0981 3.8380 3.8380
```


No. 3
HoTm2Te4: computed XRD peak list (copper Kα), based on DFT lattice parameters and positions (PBE).
No peak broadening, texture or thermal motion is included.

Largest 10 diffraction maxima, sorted by position, 5° ≤ 2θ ≤ 70°:
13.3°, rel. 16.3
23.8°, rel. 17.2
26.9°, rel. 84.9
34.6°, rel. 18.8
34.8°, rel. 100.0
41.8°, rel. 41.7
42.0°, rel. 21.2
45.2°, rel. 14.3
55.5°, rel. 16.4
68.2°, rel. 19.8

Crystal structure
```
14
Lattice="16.1057 0.0000 0.0000 0.0000 4.3051 0.0000 -3.4549 0.0000 6.6542" Properties=species:S:1:pos:R:3 pbc="T T T"
Ho 0.0000 0.0000 0.0000
Ho 8.0529 2.1525 0.0000
Tm 1.4240 2.1525 4.8551
Tm 3.1739 0.0000 1.7991
Tm 9.4769 0.0000 4.8551
Tm 11.2268 2.1525 1.7991
Te 0.3775 0.0000 3.0256
Te -1.2440 2.1525 6.4235
Te 5.8419 0.0000 0.2307
Te 4.2204 2.1525 3.6287
Te 8.4304 2.1525 3.0256
Te 6.8089 0.0000 6.4235
Te 13.8947 2.1525 0.2307
Te 12.2733 0.0000 3.6287
```
'''
Now is the time to take a look at Amazon SES or similar platforms that will disrupt the market in the years to come. Just make sure you have someone close by who understands SDK APIs and SMTPs.